Interview: The inspiring youth activist, Nada Hage, talks to us about sustainability
Updated: Sep 16, 2021
Youth for Positive Change interviewed Nada Hage about the challenges of promoting sustainability as a youth activist in Ghana.

YPC: Hi Nada. First off, can you tell us what (or who!) inspired you to get involved in activism?
NH: I’ve always had this urgent need to fix everything ‘broken’ in this world. And I found it hypocritical, especially here in certain parts of Africa, where people wish to have the same conditions and state of the environment as some More Economically Developed Countries (MEDCs), and yet are unwilling to put in the effort, or even have the faith, to get there. I have always believed it’s possible and want to initiate and be a part of that change and that is why I chose to get involved in activism.
YPC: Following up on that, what was your initial experience of activism and how has it shaped your current work?
NH: It was a thrill in the beginning – the excitement of doing something this big was unbelievable. However, things began to slow down as I realized just how big my plans actually were. I did, of course, encounter a fair share of pessimists along the way, who by the way were the very people I had hoped would be supportive. The most common reactions were either: ‘Take your plans elsewhere, it’s never going to work in Ghana,” or simply “It’s impossible. It’s not going to work here.” I’ve learned many lessons from the path I took; I am nowhere near my goal; but I can honestly say I am improving in my leadership and social skills. It has created multiple opportunities and opened many doors for me.
YPC: Our generation is often (unfairly) described as “entitled” and “overly sensitive.” Do you feel as though these statements are reflective of Gen-Z?
NH: We have a right to a clean and healthy environment. If people want to call that entitled, I’m fine with that. In our schools, there is a great deal of focus on the environment and sustainability and we are growing up with an environmentally-friendly mindset. I think one thing older people get wrong about our generation is they think we are too sensitive. Times have changed and things are different since they were young. Honestly, we are just acknowledging things that they have turned a blind eye to. Gen-Z is entitled to a sustainable planet and we will do everything to make sure we get one, even though we played no part to get the Earth to the state it is in today!
YPC: Have you ever found any difficulty in joining so-called “social-justice movements” because of your age?
NH: Yes, quite a few times. I was once told I’m not going to get anywhere with my plans, because “no one listens to a child.” However, I refuse to let society define what I can and cannot do. I’ve also not been taken seriously, because I’m told that I’m just a child with a “youthful spirit and dreams that are out of reach.” People have even told me that I would die once I stepped into the real world. But I refuse to listen to them, because the dreams I have aren’t selfish. Someday, someone, somewhere will benefit from my actions today.
Attached: records of crystals:
# r²SCAN NaLaAu2, relaxed
data_NaLaAu2
_chemical_formula_sum 'Na4 La4 Au8'
_cell_length_a 7.262
_cell_length_b 7.262
_cell_length_c 7.262
_cell_angle_alpha 90.00
_cell_angle_beta 90.00
_cell_angle_gamma 90.00
_symmetry_space_group_name_H-M 'F m -3 m'
_symmetry_Int_Tables_number 225
_symmetry_space_group_name_Hall '-F 4 2 3'
loop_
_atom_site_label
_atom_site_type_symbol
_atom_site_fract_x
_atom_site_fract_y
_atom_site_fract_z
Na1 Na 0.000 0.000 0.000
La1 La 0.000 0.000 0.500
Au1 Au 0.250 0.250 0.250
# Calculated formation energy: -684 meV/atom
# M_tot: 0.00 μB per formula unit

=====

# 1
First-principles (PBE) data for crystalline GdOF at its relaxed geometry, as listed in the Materials Project database.

Output
Total energy after the MP2020 corrections ... -11.08 eV/atom
DFT formation energy ... -4103 meV per atom

abc: 3.9356 3.9356 5.6680
angles: 90.00 90.00 90.00
With the nearest neighbours (Å) after each atom.
Atoms (fractional coordinates):
F 0.5000 0.0000 0.3987  1 Gd 2.28
F 0.0000 0.5000 0.6013  1 Gd 2.28
Gd 0.0000 0.5000 0.1993  4 O 2.27, 1 F 2.28
Gd 0.5000 0.0000 0.8007  4 O 2.27, 1 F 2.28
O 0.0000 0.0000 0.0000  4 Gd 2.27
O 0.5000 0.5000 0.0000  4 Gd 2.27



# 2
First-principles (PBE) data for crystalline GdSO4F at its relaxed geometry, as listed in the Materials Project database.

Output
Total energy after the MP2020 corrections ... -8.67 eV/atom
DFT formation energy ... -2966 meV per atom

abc: 6.5037 7.0907 8.5296
angles: 90.00 90.00 90.00
With the nearest neighbours (Å) after each atom.
Atoms (fractional coordinates):
O 0.9868 0.2500 0.9816  1 S 1.47
O 0.3252 0.5836 0.9402  1 S 1.51
O 0.1748 0.5836 0.4402  1 S 1.51
O 0.8796 0.2500 0.2555  1 S 1.46
O 0.5132 0.2500 0.4816  1 S 1.47
O 0.3796 0.7500 0.2445  1 S 1.46
O 0.8252 0.4164 0.5598  1 S 1.51
O 0.8252 0.0836 0.5598  1 S 1.51
O 0.4868 0.7500 0.5184  1 S 1.47
O 0.6204 0.2500 0.7555  1 S 1.46
O 0.6748 0.0836 0.0598  1 S 1.51
O 0.1204 0.7500 0.7445  1 S 1.46
O 0.0132 0.7500 0.0184  1 S 1.47
O 0.6748 0.4164 0.0598  1 S 1.51
O 0.3252 0.9164 0.9402  1 S 1.51
O 0.1748 0.9164 0.4402  1 S 1.51
F 0.7987 0.7500 0.2941  2 Gd 2.25-2.26
F 0.2987 0.2500 0.2059  2 Gd 2.25-2.26
F 0.7013 0.7500 0.7941  2 Gd 2.25-2.26
F 0.2013 0.2500 0.7059  2 Gd 2.25-2.26
Gd 0.3491 0.2500 0.9453  2 F 2.25-2.26, 4 O 2.37-2.39
Gd 0.1509 0.2500 0.4453  2 F 2.25-2.26, 4 O 2.37-2.39
Gd 0.8491 0.7500 0.5547  2 F 2.25-2.26, 4 O 2.37-2.39
Gd 0.6509 0.7500 0.0547  2 F 2.25-2.26, 4 O 2.37-2.39
S 0.6864 0.2500 0.5917  4 O 1.46-1.51
S 0.3136 0.7500 0.4083  4 O 1.46-1.51
S 0.1864 0.7500 0.9083  4 O 1.46-1.51
S 0.8136 0.2500 0.0917  4 O 1.46-1.51



# 3
First-principles (PBE) data for crystalline Gd6S3O2F8 at its relaxed geometry, as listed in the Materials Project database.

Output
Total energy after the MP2020 corrections ... -10.15 eV/atom
DFT formation energy ... -3723 meV per atom

abc: 3.7896 13.4094 13.4069
angles: 120.56 90.00 90.00
With the nearest neighbours (Å) after each atom.
Atoms (fractional coordinates):
YPC: What, in your opinion, is the biggest obstacle to the climate justice movement?
NH: Getting people to acknowledge that there is a problem that needs to be solved would be number one. Number two: getting them to willingly do something about it.
YPC: Finally, are there any tips you would give to young people who want to get involved in activism?
NH: You will face challenges. We all face them. But you have to keep moving forward. Don’t slow down as you get closer to your goal. Consistency is key! Because people and things will return to their old state once you begin to relax. Keep up the pace you began with till the very end. And as cliche as it sounds, don’t give up at any point!
BIOGRAPHY: Nada Hage is the founder of A Green Ghana, an organization dedicated to promoting sustainability in Ghana.